(Wanted)
Next, duplicate the whole of the entries below with every line break kept.
(Source)
-- begin --
Entry 1:
C5H7N | the ωB97M-V functional and the def2-TZVPD basis

Values from the calculation:
molecular weight: 81.1 Da
orbital gap (spin up / spin down): 5.24 / 8.37 eV
relative energy (zero: lowest compared OMol25 entry of this formula, charge and spin): 401.7 kJ/mol
E: -6779.43163 eV
multiplicity: 3
charge: 0

Element x y z (Å)
C (0.66174, 2.54310, 1.51144)
C (1.60457, 1.73732, 0.99670)
C (0.23476, 1.30876, 0.81462)
C (-1.21964, -1.81262, -1.19632)
C (-0.02457, -1.01934, -0.59910)
N (-0.66574, 0.63426, 0.26981)
H (0.32932, 3.24155, 2.16793)
H (2.60649, 1.53518, 1.09681)
H (-2.06773, -1.14418, -1.11578)
H (-1.10633, -2.09656, -2.29633)
H (-1.28063, -2.64208, -0.60991)
H (0.70391, -0.58584, -1.26381)
H (0.22384, -1.69956, 0.22393)


Entry 2:
C3H11OPSi | the ωB97M-V functional and the def2-TZVPD basis

Values from the calculation:
molecular weight: 122.2 Da
orbital gap: 8.53 eV
relative energy (zero: lowest compared OMol25 entry of this formula, charge and spin): 361.3 kJ/mol
E: -22500.50188 eV
multiplicity: 1
charge: 0
structure (SMILES): C=[Si](C)C.OP

Element x y z (Å)
C (1.38779, -1.68706, -0.52202)
C (0.88635, 1.23334, -0.29884)
C (3.21963, 0.20793, 1.80335)
O (-4.45124, -0.59987, -0.55835)
Si (2.06493, -0.09879, 0.45546)
P (-4.06448, 1.01892, -0.64664)
H (1.12640, -1.33493, -1.45398)
H (2.21365, -2.30486, -0.64123)
H (0.50008, -2.21270, -0.08610)
H (-0.07297, 0.80426, -0.78417)
H (0.58559, 1.89698, 0.43713)
H (1.46251, 1.68387, -1.02708)
H (3.78202, -0.75672, 2.03861)
H (-2.64679, 0.75908, -0.34766)
H (3.45403, 1.15078, 2.17880)
H (-5.06785, -0.94630, -1.24209)
H (-4.37966, 1.18608, 0.69480)


Entry 3:
C10H20BF4N3O5PPtS | the ωB97M-V functional and the def2-TZVPD basis

Values from the calculation:
molecular weight: 607.2 Da
orbital gap: 8.60 eV
relative energy (zero: lowest compared OMol25 entry of this formula, charge and spin): 0.0 kJ/mol
E: -60323.46626 eV
multiplicity: 1
charge: +1

Element x y z (Å)
Pt (-0.97359, 0.20892, 0.18020)
C (-2.64271, -0.40178, 4.63927)
O (-2.40712, 0.87896, 3.99476)
C (-1.86521, 0.84574, 2.81191)
O (-1.57840, -0.20130, 2.20802)
N (-1.70291, 2.07016, 2.25358)
N (-0.86216, 2.08867, 1.11713)
H (-3.07530, -0.15242, 5.60032)
H (-1.70049, -0.92845, 4.75927)
H (-3.33311, -0.98880, 4.04046)
H (-1.75734, 2.89880, 2.82809)
H (0.11861, 2.18728, 1.39807)
H (-1.07267, 2.84276, 0.46637)
S (-1.03224, -1.98813, -0.46299)
C (0.53334, -2.61770, -0.05314)
N (1.50091, -1.86034, 0.49608)
C (2.73467, -2.31390, 0.80250)
C (3.05409, -3.62231, 0.58633)
C (2.07706, -4.45469, 0.02918)
C (0.83405, -3.96278, -0.29564)
H (1.33239, -0.86550, 0.67225)
H (3.40938, -1.57357, 1.20788)
H (4.03822, -3.98832, 0.83491)
H (2.30235, -5.49604, -0.15991)
H (0.07885, -4.59183, -0.74393)
C (-3.13258, 0.58775, -2.49531)
O (-1.73659, 0.53444, -2.83534)
P (-0.59648, 0.96747, -1.82690)
O (-0.63716, 2.53694, -1.68130)
C (0.06986, 3.44089, -2.57648)
O (0.68011, 0.72957, -2.68215)
C (1.24581, -0.52861, -3.08429)
H (-3.67317, 0.27169, -3.38106)
H (-3.42012, 1.60526, -2.23254)
H (-3.34608, -0.09127, -1.67007)
H (-0.29329, 4.43484, -2.33886)
H (-0.15461, 3.19254, -3.61085)
H (1.13442, 3.36364, -2.37735)
H (2.27911, -0.32415, -3.34347)
H (0.69854, -0.90884, -3.94410)
H (1.20524, -1.24475, -2.26905)
F (3.59506, 1.80803, 1.16325)
B (2.38245, 1.51426, 0.61562)
F (1.60866, 2.65449, 0.31958)
F (2.49719, 0.70091, -0.52572)
F (1.58298, 0.74144, 1.56542)


Entry 4:
C4H9NO2S2 | the ωB97M-V functional and the def2-TZVPD basis

Values from the calculation:
molecular weight: 167.3 Da
orbital gap: 8.42 eV
relative energy (zero: lowest compared OMol25 entry of this formula, charge and spin): 406.6 kJ/mol
E: -31545.09427 eV
multiplicity: 1
charge: 0
structure (SMILES): C=C(SC)SC.O=NO

Element x y z (Å)
C (-0.75494, 1.25522, -0.76009)
C (1.61916, -1.53471, -2.32753)
C (1.56456, -0.68779, 1.47745)
C (0.17359, 0.32872, -0.67367)
N (-2.48810, 1.87121, 1.64931)
O (-3.68342, 1.35242, 1.24663)
O (-2.21914, 1.77856, 2.79383)
S (0.04681, -1.33764, -1.46033)
-- stop --
(Worked solution)
Entry 1:
C5H7N | the ωB97M-V functional and the def2-TZVPD basis

Values from the calculation:
molecular weight: 81.1 Da
orbital gap (spin up / spin down): 5.24 / 8.37 eV
relative energy (zero: lowest compared OMol25 entry of this formula, charge and spin): 401.7 kJ/mol
E: -6779.43163 eV
multiplicity: 3
charge: 0

Element x y z (Å)
C (0.66174, 2.54310, 1.51144)
C (1.60457, 1.73732, 0.99670)
C (0.23476, 1.30876, 0.81462)
C (-1.21964, -1.81262, -1.19632)
C (-0.02457, -1.01934, -0.59910)
N (-0.66574, 0.63426, 0.26981)
H (0.32932, 3.24155, 2.16793)
H (2.60649, 1.53518, 1.09681)
H (-2.06773, -1.14418, -1.11578)
H (-1.10633, -2.09656, -2.29633)
H (-1.28063, -2.64208, -0.60991)
H (0.70391, -0.58584, -1.26381)
H (0.22384, -1.69956, 0.22393)


Entry 2:
C3H11OPSi | the ωB97M-V functional and the def2-TZVPD basis

Values from the calculation:
molecular weight: 122.2 Da
orbital gap: 8.53 eV
relative energy (zero: lowest compared OMol25 entry of this formula, charge and spin): 361.3 kJ/mol
E: -22500.50188 eV
multiplicity: 1
charge: 0
structure (SMILES): C=[Si](C)C.OP

Element x y z (Å)
C (1.38779, -1.68706, -0.52202)
C (0.88635, 1.23334, -0.29884)
C (3.21963, 0.20793, 1.80335)
O (-4.45124, -0.59987, -0.55835)
Si (2.06493, -0.09879, 0.45546)
P (-4.06448, 1.01892, -0.64664)
H (1.12640, -1.33493, -1.45398)
H (2.21365, -2.30486, -0.64123)
H (0.50008, -2.21270, -0.08610)
H (-0.07297, 0.80426, -0.78417)
H (0.58559, 1.89698, 0.43713)
H (1.46251, 1.68387, -1.02708)
H (3.78202, -0.75672, 2.03861)
H (-2.64679, 0.75908, -0.34766)
H (3.45403, 1.15078, 2.17880)
H (-5.06785, -0.94630, -1.24209)
H (-4.37966, 1.18608, 0.69480)


Entry 3:
C10H20BF4N3O5PPtS | the ωB97M-V functional and the def2-TZVPD basis

Values from the calculation:
molecular weight: 607.2 Da
orbital gap: 8.60 eV
relative energy (zero: lowest compared OMol25 entry of this formula, charge and spin): 0.0 kJ/mol
E: -60323.46626 eV
multiplicity: 1
charge: +1

Element x y z (Å)
Pt (-0.97359, 0.20892, 0.18020)
C (-2.64271, -0.40178, 4.63927)
O (-2.40712, 0.87896, 3.99476)
C (-1.86521, 0.84574, 2.81191)
O (-1.57840, -0.20130, 2.20802)
N (-1.70291, 2.07016, 2.25358)
N (-0.86216, 2.08867, 1.11713)
H (-3.07530, -0.15242, 5.60032)
H (-1.70049, -0.92845, 4.75927)
H (-3.33311, -0.98880, 4.04046)
H (-1.75734, 2.89880, 2.82809)
H (0.11861, 2.18728, 1.39807)
H (-1.07267, 2.84276, 0.46637)
S (-1.03224, -1.98813, -0.46299)
C (0.53334, -2.61770, -0.05314)
N (1.50091, -1.86034, 0.49608)
C (2.73467, -2.31390, 0.80250)
C (3.05409, -3.62231, 0.58633)
C (2.07706, -4.45469, 0.02918)
C (0.83405, -3.96278, -0.29564)
H (1.33239, -0.86550, 0.67225)
H (3.40938, -1.57357, 1.20788)
H (4.03822, -3.98832, 0.83491)
H (2.30235, -5.49604, -0.15991)
H (0.07885, -4.59183, -0.74393)
C (-3.13258, 0.58775, -2.49531)
O (-1.73659, 0.53444, -2.83534)
P (-0.59648, 0.96747, -1.82690)
O (-0.63716, 2.53694, -1.68130)
C (0.06986, 3.44089, -2.57648)
O (0.68011, 0.72957, -2.68215)
C (1.24581, -0.52861, -3.08429)
H (-3.67317, 0.27169, -3.38106)
H (-3.42012, 1.60526, -2.23254)
H (-3.34608, -0.09127, -1.67007)
H (-0.29329, 4.43484, -2.33886)
H (-0.15461, 3.19254, -3.61085)
H (1.13442, 3.36364, -2.37735)
H (2.27911, -0.32415, -3.34347)
H (0.69854, -0.90884, -3.94410)
H (1.20524, -1.24475, -2.26905)
F (3.59506, 1.80803, 1.16325)
B (2.38245, 1.51426, 0.61562)
F (1.60866, 2.65449, 0.31958)
F (2.49719, 0.70091, -0.52572)
F (1.58298, 0.74144, 1.56542)


Entry 4:
C4H9NO2S2 | the ωB97M-V functional and the def2-TZVPD basis

Values from the calculation:
molecular weight: 167.3 Da
orbital gap: 8.42 eV
relative energy (zero: lowest compared OMol25 entry of this formula, charge and spin): 406.6 kJ/mol
E: -31545.09427 eV
multiplicity: 1
charge: 0
structure (SMILES): C=C(SC)SC.O=NO

Element x y z (Å)
C (-0.75494, 1.25522, -0.76009)
C (1.61916, -1.53471, -2.32753)
C (1.56456, -0.68779, 1.47745)
C (0.17359, 0.32872, -0.67367)
N (-2.48810, 1.87121, 1.64931)
O (-3.68342, 1.35242, 1.24663)
O (-2.21914, 1.77856, 2.79383)
S (0.04681, -1.33764, -1.46033)